Contents:
********
Simulated XRD peak list of Pm3YRu for Cu Ka, from a GGA-PBE-relaxed structure.
Lines closer than 0.1° are merged.

Atomic structure:
a b c (Å): 7.744 6.550 6.363
angles (deg): 90.00 90.00 90.00
Atoms (fractional coordinates):
Pm1 0.000 0.157 0.000
Pm2 0.250 0.319 0.503
Pm3 0.250 0.681 0.003
Pm4 0.500 0.843 0.500
Pm5 0.750 0.319 0.503
Pm6 0.750 0.681 0.003
Y1 0.000 0.837 0.506
Y2 0.500 0.163 0.006
Ru1 0.000 0.501 0.253
Ru2 0.500 0.499 0.753

Top 12 peaks for 10 to 80 degrees two-theta, low angle first:
2θ (°), intensity, hkl
22.61, 12, 1 1 1
28.05, 26, 0 0 2
30.27, 100, 2 1 1
30.70, 43, 0 2 1
39.14, 29, 2 1 2
39.49, 17, 0 2 2
46.93, 14, 4 0 0
47.83, 25, 2 3 0
51.04, 23, 2 1 3
56.36, 14, 2 3 2
57.13, 16, 4 2 1
78.36, 11, 2 3 4


Simulated XRD peak list of Pm2Zn6Ru for Cu Ka, from a GGA-PBE-relaxed structure.
Lines closer than 0.1° are merged.

Atomic structure:
a b c (Å): 5.776 5.776 5.818
angles (deg): 90.00 90.00 120.00
Atoms (fractional coordinates):
Pm1 0.333 0.667 0.348
Pm2 0.667 0.333 0.652
Zn1 0.175 0.350 0.830
Zn2 0.175 0.825 0.830
Zn3 0.350 0.175 0.170
Zn4 0.650 0.825 0.830
Zn5 0.825 0.175 0.170
Zn6 0.825 0.650 0.170
Ru1 0.000 0.000 0.500

Top 12 peaks for 10 to 80 degrees two-theta, low angle first:
2θ (°), intensity, hkl
30.96, 21, 1 1 0
34.68, 55, 1 1 1
35.71, 63, 1 0 2
35.91, 14, 2 0 0
39.21, 100, 0 2 1
47.97, 14, 2 0 2
50.47, 15, 1 0 3
57.50, 13, 3 0 1
58.20, 23, 2 1 2
64.54, 25, 2 2 0
69.43, 17, 2 1 3
76.00, 13, 1 3 2

----------

This entry pairs a crystal structure of MnNbB4 with its calculated powder X-ray diffraction pattern. Radiation: copper Kα. Structure: a GGA-PBE-relaxed structure.
Kinematic intensities with the Lorentz-polarization factor, no thermal factor.

Structural model:
```
data_MnNbB4
_chemical_formula_sum 'Mn4 Nb4 B16'
_cell_length_a 5.719
_cell_length_b 11.107
_cell_length_c 3.205
_cell_angle_alpha 90.00
_cell_angle_beta 90.00
_cell_angle_gamma 90.00
_space_group_name_H-M_alt 'P b a m'
_space_group_IT_number 55
_space_group_name_Hall '-P 2 2ab'
loop_
_atom_site_label
_atom_site_fract_x
_atom_site_fract_y
_atom_site_fract_z
Mn1 0.133 0.089 0.000
Nb1 0.130 0.348 0.000
B1 0.022 0.805 0.500
B2 0.116 0.952 0.500
B3 0.131 0.533 0.500
B4 0.209 0.687 0.500
```

Peak list (6 most intense, 10° ≤ 2θ ≤ 80°, by intensity)
| hkl | two_theta | d [Å] | Rel. int. |
| --- | --- | --- | --- |
| 0 4 1 | 43.15 | 2.097 | 100 |
| 0 4 0 | 32.29 | 2.772 | 81 |
| 0 0 1 | 27.83 | 3.205 | 56 |
| 1 4 0 | 35.95 | 2.498 | 28 |
| 1 4 1 | 46.07 | 1.970 | 27 |
| 2 3 1 | 49.29 | 1.849 | 27 |

=====

This entry pairs a crystal structure of K3BeO3 with its calculated powder X-ray diffraction pattern. Radiation: copper Kα. Structure: a GGA-PBE-relaxed structure.
Kinematic intensities with the Lorentz-polarization factor, no thermal factor.

Structural model:
```
data_K3BeO3
_chemical_formula_sum 'K6 Be2 O6'
_cell_length_a 7.5689
_cell_length_b 7.5689
_cell_length_c 5.4625
_cell_angle_alpha 90.00
_cell_angle_beta 90.00
_cell_angle_gamma 120.00
_space_group_name_H-M_alt 'P 63/m'
_space_group_IT_number 176
_space_group_name_Hall '-P 6c'
loop_
_atom_site_label
_atom_site_fract_x
_atom_site_fract_y
_atom_site_fract_z
K1 0.0998 0.7297 0.2500
Be1 0.3333 0.6667 0.7500
O1 0.1465 0.6984 0.7500
```

Peak list (6 most intense, 10° ≤ 2θ ≤ 80°, by intensity)
| hkl | two_theta | d [Å] | Rel. int. |
| --- | --- | --- | --- |
| 2 1 0 | 36.26 | 2.478 | 100 |
| 2 1 2 | 49.68 | 1.835 | 69 |
| 0 0 2 | 32.79 | 2.731 | 67 |
| 1 1 1 | 28.70 | 3.111 | 52 |
| 2 0 1 | 31.84 | 2.810 | 46 |
| 1 1 0 | 23.51 | 3.784 | 31 |

=====

This entry pairs a crystal structure of LaTb4Y4 with its calculated powder X-ray diffraction pattern. Radiation: copper Kα. Structure: a GGA-PBE-relaxed structure.
Kinematic intensities with the Lorentz-polarization factor, no thermal factor.

Structural model:
```
data_LaTb4Y4
_chemical_formula_sum 'La2 Tb8 Y8'
_cell_length_a 10.765
_cell_length_b 10.765
_cell_length_c 5.073
_cell_angle_alpha 90.00
_cell_angle_beta 90.00
********

Activity:
Next, duplicate only the lines above with the word "Y2" in them.

Here it is:
Y2 0.500 0.163 0.006